Reckless vs. Aggressive Driving
Published on 04/09/2020

Reckless vs. Aggressive Driving
In North Carolina, reckless driving and aggressive driving are two separate, misdemeanor level, traffic offenses which can lead to harsh penalties and permanent repercussions for any driver found guilty. Many drivers do not realize the serious nature of either of these charges, nor that a distinction between the two exists. It is our hope that this article will provide additional information which will help the reader avoid the mistake of pleading guilty to one of these charges, as there may be other options which can help to evade the harsh implications that may come with doing so.
Reckless Driving
Reckless driving is classified as a Class 2 Misdemeanor, and is defined as any person driving on a highway or public vehicular area “carelessly and heedlessly in willful or wanton disregard of the rights or safety of others shall be guilty of reckless driving,” or “without due caution and circumspection and at a speed or in a manner so as to endanger or be likely to endanger any person or property shall be guilty of reckless driving.”
Aggressive Driving
Aggressive on the other hand is a Class 1 Misdemeanor, making it a more serious offense than the aforementioned charge of reckless driving. Any person who operates a motor vehicle on a street or highway or public vehicular area is guilty of aggressive driving if:
- The person is in violation of speed restrictions under North Carolina law, which includes speed limits inside and outside municipal corporate areas and in school zones, AND
- Committed two or more of the following offenses:
- Running a red light/stop sign
- Illegally passing
- Failing to yield
- Following too closely
In addition to the complex distinctions between types of traffic offenses in North Carolina, there also exists complex levels of sentencing. This system not only considers the offense the individual is currently dealing with, but also their prior criminal history. Potential punishments for these charges can be active, intermediate, or community.
The distinction between the aforementioned punishments is that an active punishment includes a jail sentence while the subsequent punishments may not. An intermediate punishment, however, would be a supervised probation (may or may not include jail time) while a community punishment would be considered as any punishment other than active punishment (may include house arrest or community service).
For misdemeanors, the Class (1A, 1, 2, or 3) of the offense is matched up against the defendant’s prior conviction level (determined by the number of prior convictions) to decide the length and nature of the sentence. An individual with no prior convictions (Level 1) could expect to be sentenced to community punishment for 1-30 days for reckless driving or 1-45 days for aggressive driving. For individuals with one to four prior convictions (Level 2), a reckless driving conviction could result in a community punishment of 1-45 days or an active, intermediate, or community punishment of 1-45 days with a conviction of aggressive driving. Lastly, an individual with five or more convictions (Level 3)l could receive a community, intermediate, or active punishment of 1-60 days for a reckless driving conviction or 1-120 days for an aggressive driving conviction. Many other factors are also taken into account by the Court when determining the specific length of sentence, but the main takeaway is that both of these offenses are serious and could lead to actual jail time for a person with prior convictions.
-- What comes next are data records, not part of the text --
/*
This record from Alexandria via LeMat-Bulk describes crystalline Na2MnCuCl6 at its relaxed geometry. The functional is GGA-PBE.

- Raw total energy: -3.88 eV per atom
- Uncorrected formation energy: -1.186 eV per atom
- Space group: P1, No. 1
- Mass density: 2.54 g cm⁻³

Cell: 6.704 6.690 7.434 Å, 63.18 63.11 59.97°
Last column: magnetic moment on the atom in μB.
Fractional positions:
Cl (0.107, 0.448, 0.752)  -0.02
Cl (0.447, 0.692, 0.753)  -0.02
Cl (0.573, 0.242, 0.206)  0.03
Cl (0.691, 0.107, 0.754)  -0.02
Cl (0.241, 0.980, 0.206)  0.03
Cl (0.980, 0.573, 0.206)  0.03
Na (0.532, 0.532, 0.405)  0.00
Na (0.014, 0.014, 0.959)  0.00
Mn (0.330, 0.330, 0.010)  3.87
Cu (0.745, 0.745, 0.764)  -0.19
*/
In summary, the complicated distinction between reckless driving and aggressive driving, along with the stiff penalties associated with both, is indicative of the complex nature of traffic law in North Carolina itself. It is important to understand the implications of a guilty plea to either of these charges could have significant implications on your driving record, your criminal record, and your insurance premium. If you would like to know more, or if you have received a ticket and would like to hire an attorney, give us a call at 919-200-0822 or CLICK HERE to hire us online, in minutes.